tracktable.applications.anomaly_detection module

Module contents

tracktable.applications.anomaly_detection - Determine if trajectories are anomalous based on the number of historical trajectories that pass by the same area.

The anomaly_detection() and R-Tree related functions are the primary driver functions for anomaly detection.

tracktable.applications.anomaly_detection.anomaly_detection(trajectories_to_analyze, historical_trajectories=[], historical_points_rtree=None, point_idx_to_traj_idx={}, num_historical_trajectories=0, nearness_radius=5, consider_direction=False, num_control_points=4, start_fraction=0, end_fraction=1, anomaly_threshold=0, include_segments=False, ram_limited=False, filename=None)[source]

Analyzes a list of trajectories against a list of historical trajectories to detect anomalies. Anomalies are any trajectories with no historical trajectories that pass by them.

“Passing by” a trajectory is determined by examining num_control_points points equally-spaced along the trajectory and finding historical trajectories within a (2*nearness_radius) cube of all control points.


trajectories_to_analyze (list) – list of Tracktable trajectorys We will compare each of these trajectories to all of the historical trajectories to determine anomalous behavior.

Keyword Arguments
  • historical_trajectories (list) – list of Tracktable trajectorys, opt. We will compare each trajectory in trajectories_to_analyze to these trajectories to determine anomalous behavior. If not specified, the historical_points_rtree must be given. (Default: [])

  • historical_points_rtree (Tracktable RTree object) – We will compare each trajectory in trajectories_to_analyze to these trajectory points to determine anomalous behavior. If not specified, historical_trajectories must be given so that an rtree can be created. (Default: None)

  • point_idx_to_traj_idx (dict) – A quick lookup to check what trajectory index a point index from the rtree corresponds to. If not specified, will be created. (Default: {})

  • num_historical_trajectories (int) – The total number of historical trajectories. (Default: 0)

  • nearness_radius (float) – The inradius, in km, of the cubes centered at each control point. Only trajectories within all of these cubes will be considered passersby. (Default: 5)

  • consider_direction (bool) – CURRENTLY UNABLE TO CONSIDER DIRECTION If true, we will only consider a historical trajectory to be a passerby if it is traveling the same direction as the trajectory being analyzed. (Default: False)

  • num_control_points (int) – The number of equally-spaced points to sample along each trajectory when looking for passersby. (Default: 4)

  • start_fraction (float) – The fraction along the trajectory where you want to start sampling control points when looking for passersby. (Default: 0)

  • end_fraction (float) – The fraction along the trajectory where you want to stop sampling control points when looking for passersby. (Default: 1)

  • anomaly_threshold (int) – Trajectories with total passersby equal to or less than this number will be considered anomalous. (Default: 0)

  • include_segments (bool) – Flag to find historical passersby with by spliting the trajectories into segments, requires additional computational resources (Default: False)

  • ram_limited (bool) – Create an rtree from points WITHOUT creating a points list by adding points to the tree one at a time, helps build rtrees on resource constrained systems. (Default: False)

Materials data that have nothing to do with the article:
~~~
Entry 1:
An optimized crystal structure of ErCu2. Source: the Materials Project database, functional r2SCAN.

abc: 5.3442 5.3442 5.3442
angles: 133.10 103.00 95.27
Closest atoms and distances in Å follow each position.
Sites, in units of the cell vectors:
Er 0.2961 0.0461 0.2500  12 Cu 2.90-3.05
Er 0.7039 0.9539 0.7500  12 Cu 2.90-3.05
Cu 0.1107 0.6639 0.4468  4 Cu 2.46-2.62
Cu 0.2829 0.3361 0.9468  4 Cu 2.46-2.62
Cu 0.7171 0.6639 0.0532  4 Cu 2.46-2.62
Cu 0.8893 0.3361 0.5532  4 Cu 2.46-2.62

**Formation enthalpy at 0 K**: -0.284 eV/atom
**Crystal system**: orthorhombic
**SG**: Imma
**Uncorrected energy**: -18.824 eV/atom

***

Entry 2:
An optimized crystal structure of UCoCuGe2. Source: the Materials Project database, functional r2SCAN.

abc: 5.7387 5.7387 5.7387
angles: 138.02 138.02 60.87
Closest atoms and distances in Å follow each position.
Sites, in units of the cell vectors:
U 0.0000 0.0000 0.0000  8 Ge 3.16, 4 Co 3.22, 4 Cu 3.22
Co 0.2500 0.7500 0.5000  4 Ge 2.40
Cu 0.7500 0.2500 0.5000  4 Ge 2.40
Ge 0.3753 0.3753 0.0000  2 Co 2.40, 2 Cu 2.40, 1 Ge 2.47
Ge 0.6247 0.6247 0.0000  2 Co 2.40, 2 Cu 2.40, 1 Ge 2.47

**Formation enthalpy at 0 K**: -0.331 eV/atom
**Crystal system**: tetragonal
**SG**: I-4m2
**Uncorrected energy**: -26.684 eV/atom

***

Entry 3:
An optimized crystal structure of AlV2C. Source: the Materials Project database, functional r2SCAN.

abc: 2.8876 2.8876 13.1048
angles: 90.00 90.00 120.00
Closest atoms and distances in Å follow each position.
Sites, in units of the cell vectors:
Al 0.3333 0.6667 0.2500  6 V 2.72, 6 Al 2.89
Al 0.6667 0.3333 0.7500  6 V 2.72, 6 Al 2.89
V 0.3333 0.6667 0.5864  3 C 2.02
V 0.3333 0.6667 0.9136  3 C 2.02
V 0.6667 0.3333 0.0864  3 C 2.02
V 0.6667 0.3333 0.4136  3 C 2.02
C 0.0000 0.0000 0.0000  6 V 2.02
C 0.0000 0.0000 0.5000  6 V 2.02

**Formation enthalpy at 0 K**: -0.574 eV/atom
**Crystal system**: hexagonal
**SG**: P6_3/mmc
**Uncorrected energy**: -11.789 eV/atom

***

Among the records above, which one has the lowest uncorrected energy?
UCoCuGe2


# PBE CrGa, optimized geometry
data_CrGa
~~~

  • filename (bool) – CURRENTLY UNABLE TO OUTPUT ANOMALIES TO FILE. File to output anomalies to. (Default: False)


List that contains the index for every trajectory index that passes by the given trajectory.

Given a dictionary with test trajectory indices as keys and passerby

historical trajectory indices as values (as a list), count how many test trajectories have no historical trajectories passing by.


nearby_trajectories (list) – nearby trajectories that pass by the anomalous trajectories.


Number of anomalous trajectories


Create a list of points for a list of trajectories.


trajectories (list) – List of trajectories to get points of.


List of points

tracktable.applications.anomaly_detection.create_points_list_and_lookup(trajectories, create_lookup=True)[source]

Create a list and lookup of points for a list of trajectories.


trajectories (list) – List of trajectories to get points of.

Keyword Arguments

create_lookup (bool) – Create a dictionary for reverse-lookup of trajectory index. (Default: True)


List of points and lookup

tracktable.applications.anomaly_detection.create_rtree(trajectories=None, reader=None, ram_limited=False)[source]

Create an rtree.

Keyword Arguments
  • trajectories (list) – trajectories to create an rtree from. (Default: None)

  • reader (Tracktable trajectory reader) – Trajectory reader to create an rtree from. (Default: None)

  • ram_limited (bool) – Create an R-Tree without storing the trajectory points. (Default: False)


R-Tree of points and trajectory index


Represents a trajectory by a list of segments


trajectory (Trajectory) – Trajectory to get the segments of.


list of trajectory segments


Put points into R-Tree.


points (list) – List of points to put into an R-Tree.


R-Tree of points


Create an rtree given the trajectory reader, avoiding the need to store any tracks.


reader (Tracktable trajectory reader) – Trajectory reader to create an rtree from.


R-Tree of points and trajectory index

tracktable.applications.anomaly_detection.trajectories_to_rtree(trajectories, create_lookup=True)[source]

Put trajectories in R-Tree.


trajectories (list) – List of trajectories to put into R-Tree.

Keyword Arguments

create_lookup (bool) – Create a dictionary for reverse-lookup of trajectory index. (Default: True)


R-Tree of points and lookup


Create an rtree from points WITHOUT creating a points list by adding points to the tree one at a time.


trajectories (list) – trajectories to create an rtree from.


R-Tree of points and trajectory index